
Happy Birthday! There's a problem with your visa

I've had better birthdays, but at least this one ended with arriving at the Winter Olympics. Who needs cake?

CBC Montreal's Sonali Karnick on the surprises that awaited in Sochi

After dodging some unexpected obstacles, I've finally arrived at the International Broadcasting Centre. (CBC)

Customs agent: (Looking at my passport) Happy Birthday!  You are in Sochi!

Me: Thanks. I can't wait to see everything.

Customs agent: Wait, your birthday is Feb. 3 or March 2?

Me: It's today, Feb. 3. What's the problem?

Customs agent: The format of the date of your birth on the accreditation is different from that of your passport. You have to apply for another visa.

Me: Wait, what?

Customs agent: Go with this man and he will take you to passport control.  

Me: I have colleagues waiting for me. Can I go tell them I am delayed?

Customs agent: Go with this man and he will fix it.

So began my LONG night at the Sochi airport.  

After three hours of filling out a visa application and locating my baggage, I could not get in touch with my colleagues, but sent emails as soon as I got a wifi connection to let them know I was OK. My phone was non-operational at the time.

I’ve had better birthdays, but at least this one ended with arriving at the Winter Olympics. Who needs cake?

I then arrived at the hotel.

Cake was the last thing on my mind as I remembered the images of unfinished buildings from numerous news stories. I hadn't slept in a while.

I was exhausted and I was just happy to be out of an airport at this point. Some friendly volunteers guided me to the shuttle that would take me to my hotel in the complex called “Alexandrovsky Sad”.

No bed in sight. (Sonali Karnick/CBC)
Receptionist: Your room is in building number seven.

Me: (laughing) Is it finished?  You know because, there's a pile of bricks outside…(awkward silence)

Receptionist: Maybe. Let us know if it is not.

Me: …

I got to my room and turned the key to open the door to find an empty room.  No bed, just a vanity table in the corner. After turning on the light, I still couldn't see a bed. 

That's when I started to laugh out loud to myself.  

_Someone pasted materials data at this point_
+++
No. 1
BaCrCu3Se4: calculated X-ray diffraction stick pattern (Cu Kα), based on a DFT-relaxed cell (GGA-PBE, the Materials Project).
Lines closer than 0.1° are merged.

Peak list (10 most intense, 10° ≤ 2θ ≤ 90°, by angle)
| two_theta | intensity |
| --- | --- |
| 20.34 | 24 |
| 24.98 | 100 |
| 35.62 | 17 |
| 41.37 | 100 |
| 48.94 | 42 |
| 55.71 | 11 |
| 59.94 | 14 |
| 63.99 | 10 |
| 65.96 | 13 |
| 75.44 | 25 |

Atomic structure:
Cell lengths 6.1732, 6.1732, 6.1732 Å; angles 90.00, 90.00, 90.00 degrees
Fractional positions:
1 Ba 0.0000 0.0000 0.0000
2 Cr 0.5000 0.5000 0.5000
3 Cu 0.0000 0.5000 0.5000
4 Cu 0.5000 0.0000 0.5000
5 Cu 0.5000 0.5000 0.0000
6 Se 0.2803 0.2803 0.7197
7 Se 0.2803 0.7197 0.2803
8 Se 0.7197 0.2803 0.2803
9 Se 0.7197 0.7197 0.7197

No. 2
TcN: calculated X-ray diffraction stick pattern (Cu Kα), based on a DFT-relaxed cell (GGA-PBE, the Materials Project).
Lines closer than 0.1° are merged.

Peak list (5 most intense, 10° ≤ 2θ ≤ 90°, by angle)
| two_theta | intensity |
| --- | --- |
| 35.97 | 100 |
| 41.77 | 83 |
| 60.55 | 52 |
| 72.48 | 40 |
| 76.27 | 17 |

Atomic structure:
Cell lengths 3.0582, 3.0582, 3.0582 Å; angles 60.00, 60.00, 60.00 degrees
Fractional positions:
1 Tc 0.0000 0.0000 0.0000
2 N 0.5000 0.5000 0.5000

~~~~~

The following is a calculated XRD peak list of NaLaGeP2SO12. It was derived from DFT lattice parameters and positions (GGA-PBE), using Cu Kα (weighted mean of Kα1 and Kα2).
Kinematic intensities with the Lorentz-polarization factor, no thermal factor.

Cell and atoms:
```
data_NaLaGeP2SO12
_chemical_formula_sum 'Na4 La4 Ge4 P8 S4 O48'
_space_group_name_H-M_alt 'C 1 c 1'
_space_group_IT_number 9
_cell_length_a 16.2781
_cell_length_b 8.7877
_cell_length_c 8.9728
_cell_angle_alpha 90.00
_cell_angle_beta 121.08
_cell_angle_gamma 90.00
loop_
_space_group_symop_operation_xyz
'x,y,z'
'x,-y,z+1/2'
'x+1/2,y+1/2,z'
'x+1/2,-y+1/2,z+1/2'
loop_
_atom_site_label
_atom_site_fract_x
_atom_site_fract_y
_atom_site_fract_z
Na1 0.0000 0.2400 0.0000
La1 0.3335 0.2581 0.0649
Ge1 0.1012 0.2568 0.4082
P1 0.0921 0.0855 0.7364
P2 0.1970 0.4618 0.2234
S1 0.3871 0.1281 0.7326
O1 0.9999 0.1424 0.7249
O2 0.0865 0.1179 0.5533
O3 0.0961 0.0960 0.2528
O4 0.1181 0.3811 0.2486
O5 0.1378 0.4310 0.5578
O6 0.1835 0.1492 0.8858
O7 0.2538 0.3406 0.1948
O8 0.2668 0.4508 0.8843
O9 0.2999 0.1791 0.5773
O10 0.3916 0.1557 0.8966
O11 0.4108 0.0337 0.2303
O12 0.4697 0.2226 0.7388
```
+++

Then I turned my head to the left and saw a doorway to another room. Success! A bed and a bathroom.

My last task before going to bed was to lock the door. It has to be locked with a key from the inside. If this is everything I have to deal with, the rest should be smooth sailing. 

Did I just jinx myself?

Luckily, I won't be sleeping on the floor after all. (Sonali Karnick/CBC)
My colleagues were very happy to see me alive and well today.

Hugs are the best therapy in this situation and I got plenty of them!

I’m sitting at a desk next to Peter Mansbridge. He’s popping back and forth from his laptop to talking with producers so I haven’t really said hello to him yet. I will, eventually. 

I'm still searching for cake right now, after all.

+++
1.
HoPuPd3: computed X-ray diffraction stick pattern (CuKα), based on a cell relaxed with PBE.

Crystal structure
```
data_HoPuPd3
_chemical_formula_sum 'Ho4 Pu4 Pd12'
_space_group_name_H-M_alt 'P 1 21/c 1'
_space_group_IT_number 14
_space_group_name_Hall '-P 2ybc'
_cell_length_a 8.513
_cell_length_b 5.554
_cell_length_c 9.165
_cell_angle_alpha 90.00
_cell_angle_beta 105.72
_cell_angle_gamma 90.00
loop_
_atom_site_label
_atom_site_fract_x
_atom_site_fract_y
_atom_site_fract_z
_atom_site_occupancy
Ho1 0.168 0.222 0.167 1
Pu1 0.275 0.745 0.943 1
Pd1 0.031 0.707 0.131 1
Pd2 0.377 0.245 0.969 1
Pd3 0.497 0.001 0.748 1
```

Most intense lines, 2θ = 10–80°, by angle:
| 2θ (°) | I_rel | h k l |
| --- | --- | --- |
| 25.79 | 29.9 | 0 1 2 |
| 30.11 | 40.4 | 2 1 -2 |
| 32.24 | 47.6 | 0 2 0 |
| 33.62 | 89.8 | 3 0 -2 |
| 37.42 | 100.0 | 2 1 2 |
| 38.30 | 47.0 | 0 2 2 |
| 39.19 | 25.4 | 2 2 0 |
| 39.32 | 63.2 | 1 0 -4 |
| 47.28 | 38.9 | 4 1 0 |
| 51.73 | 25.6 | 1 2 -4 |

***

2.
TbCu2Sn3: computed X-ray diffraction stick pattern (CuKα), based on a cell relaxed with PBE.

Crystal structure
```
data_TbCu2Sn3
_chemical_formula_sum 'Tb4 Cu8 Sn12'
_space_group_name_H-M_alt 'C m c m'
_space_group_IT_number 63
_space_group_name_Hall '-C 2c 2'
_cell_length_a 8.621
_cell_length_b 11.538
_cell_length_c 5.825
_cell_angle_alpha 90.00
_cell_angle_beta 90.00
_cell_angle_gamma 90.00
loop_
_atom_site_label
_atom_site_fract_x
_atom_site_fract_y
_atom_site_fract_z
_atom_site_occupancy
Tb1 0.000 0.237 0.250 1
Cu1 0.145 0.500 0.000 1
Sn1 0.000 0.345 0.750 1
Sn2 0.163 0.114 0.750 1
```

Most intense lines, 2θ = 10–80°, by angle:
| 2θ (°) | I_rel | h k l |
| --- | --- | --- |
| 25.80 | 55.4 | 2 2 0 |
| 29.70 | 100.0 | 1 3 1 |
| 30.09 | 74.8 | 2 2 1 |
| 30.70 | 41.7 | 0 0 2 |
| 34.50 | 39.8 | 0 2 2 |
| 35.70 | 35.8 | 3 1 1 |
| 39.13 | 35.2 | 3 3 0 |
| 43.47 | 45.9 | 1 5 1 |
| 45.01 | 53.6 | 3 1 2 |
| 47.67 | 26.2 | 4 2 1 |

***

3.
Sr3La3ScSe8: computed X-ray diffraction stick pattern (CuKα), based on a cell relaxed with PBE.

Crystal structure
```
data_Sr3La3ScSe8
_chemical_formula_sum 'Sr9 La9 Sc3 Se24'
_space_group_name_H-M_alt 'R -3 m'
_space_group_IT_number 166
_space_group_name_Hall '-R 3 2"'
_cell_length_a 8.5757
_cell_length_b 8.5757
_cell_length_c 21.6223
_cell_angle_alpha 90.00
_cell_angle_beta 90.00
_cell_angle_gamma 120.00
loop_
_atom_site_label
_atom_site_fract_x
_atom_site_fract_y
_atom_site_fract_z
_atom_site_occupancy
Sr1 0.0000 0.5000 0.0000 1
La1 0.0000 0.5000 0.5000 1
Sc1 0.0000 0.0000 0.5000 1
Se1 0.0000 0.0000 0.2487 1
Se2 0.0232 0.5116 0.2414 1
```

Most intense lines, 2θ = 10–80°, by angle:
| 2θ (°) | I_rel | h k l |
| --- | --- | --- |
| 12.28 | 10.5 | 0 0 3 |
| 14.47 | 8.8 | 0 1 2 |
| 29.18 | 100.0 | 0 2 4 |
| 41.32 | 36.6 | 2 0 8 |
| 42.15 | 35.8 | 2 2 0 |
| 52.08 | 18.5 | 4 0 4 |
| 60.50 | 11.2 | 0 4 8 |
| 67.96 | 14.8 | 2 2 12 |
| 69.15 | 15.0 | 2 4 4 |
| 76.47 | 10.9 | 4 2 8 |

***

4.
+++
So much for the crystal structures:


Sonali Karnick is the host of All in a Weekend. Listen to the show on Saturday and Sunday mornings from 6 a.m. until 9 a.m. across Quebec.